# File
<<<
No. 1
Material: PrHoZn2
Method: DFT, meta-GGA r2SCAN
State: relaxed

```
data_PrHoZn2
_cell_length_a 5.115
_cell_length_b 5.115
_cell_length_c 5.115
_cell_angle_alpha 60.00
_cell_angle_beta 60.00
_cell_angle_gamma 60.00
_space_group_name_H-M_alt 'P 1'
_space_group_IT_number 1
loop_
_space_group_symop_operation_xyz
'x,y,z'
loop_
_atom_site_label
_atom_site_fract_x
_atom_site_fract_y
_atom_site_fract_z
_atom_site_occupancy
Zn1 0.000 0.000 0.000 1
Ho1 0.250 0.250 0.250 1
Zn2 0.500 0.500 0.500 1
Pr1 0.750 0.750 0.750 1
```


No. 2
Material: HoPt
Method: DFT, meta-GGA r2SCAN
State: relaxed

```
data_HoPt
_cell_length_a 4.498
_cell_length_b 5.508
_cell_length_c 6.955
_cell_angle_alpha 90.00
_cell_angle_beta 90.00
_cell_angle_gamma 90.00
_space_group_name_H-M_alt 'P 1'
_space_group_IT_number 1
loop_
_space_group_symop_operation_xyz
'x,y,z'
loop_
_atom_site_label
_atom_site_fract_x
_atom_site_fract_y
_atom_site_fract_z
_atom_site_occupancy
Ho1 0.750 0.640 0.318 1
Ho2 0.750 0.860 0.818 1
Ho3 0.250 0.140 0.182 1
Ho4 0.250 0.360 0.682 1
Pt1 0.250 0.845 0.543 1
Pt2 0.750 0.155 0.457 1
Pt3 0.250 0.655 0.043 1
Pt4 0.750 0.345 0.957 1
```


No. 3
Material: HoPt2
Method: DFT, meta-GGA r2SCAN
State: relaxed

```
data_HoPt2
_cell_length_a 5.390
_cell_length_b 5.390
_cell_length_c 5.390
_cell_angle_alpha 60.00
_cell_angle_beta 60.00
_cell_angle_gamma 60.00
_space_group_name_H-M_alt 'P 1'
_space_group_IT_number 1
loop_
_space_group_symop_operation_xyz
'x,y,z'
loop_
_atom_site_label
_atom_site_fract_x
_atom_site_fract_y
_atom_site_fract_z
_atom_site_occupancy
Pt1 0.500 0.500 0.000 1
Pt2 0.500 0.000 0.500 1
Ho1 0.875 0.875 0.875 1
Pt3 0.000 0.500 0.500 1
Ho2 0.125 0.125 0.125 1
Pt4 0.500 0.500 0.500 1
```


No. 4
Material: Ho2Pt
Method: DFT, meta-GGA r2SCAN
State: relaxed

```
data_Ho2Pt
_cell_length_a 4.735
_cell_length_b 7.081
_cell_length_c 8.723
_cell_angle_alpha 90.00
_cell_angle_beta 90.00
_cell_angle_gamma 90.00
_space_group_name_H-M_alt 'P 1'
_space_group_IT_number 1
loop_
_space_group_symop_operation_xyz
'x,y,z'
loop_
_atom_site_label
_atom_site_fract_x
_atom_site_fract_y
_atom_site_fract_z
_atom_site_occupancy
Pt1 0.750 0.741 0.908 1
Pt2 0.250 0.259 0.092 1
Pt3 0.250 0.759 0.408 1
Ho1 0.750 0.143 0.919 1
Ho2 0.250 0.491 0.833 1
Ho3 0.250 0.991 0.667 1
Pt4 0.750 0.241 0.592 1
Ho4 0.750 0.643 0.581 1
Ho5 0.750 0.009 0.333 1
Ho6 0.250 0.857 0.081 1
Ho7 0.250 0.357 0.419 1
Ho8 0.750 0.509 0.167 1
```


No. 5
Material: Ho5Pt4
Method: DFT, meta-GGA r2SCAN
State: relaxed

```
data_Ho5Pt4
_cell_length_a 7.449
_cell_length_b 7.531
_cell_length_c 14.431
_cell_angle_alpha 90.00
_cell_angle_beta 90.00
_cell_angle_gamma 90.00
_space_group_name_H-M_alt 'P 1'
_space_group_IT_number 1
loop_
_space_group_symop_operation_xyz
'x,y,z'
loop_
_atom_site_label
_atom_site_fract_x
_atom_site_fract_y
_atom_site_fract_z
_atom_site_occupancy
Ho1 0.998 0.180 0.906 1
Ho2 0.682 0.011 0.750 1
Pt1 0.184 0.533 0.541 1
Pt2 0.316 0.142 0.750 1
Ho3 0.998 0.180 0.594 1
Pt3 0.816 0.358 0.750 1
Pt4 0.684 0.858 0.250 1
Ho4 0.844 0.667 0.622 1
Pt5 0.184 0.533 0.959 1
Ho5 0.502 0.680 0.406 1
Pt6 0.316 0.033 0.041 1
Pt7 0.684 0.967 0.541 1
Ho6 0.502 0.680 0.094 1
Ho7 0.818 0.511 0.250 1
Ho8 0.498 0.320 0.594 1
Ho9 0.002 0.820 0.094 1
Pt8 0.684 0.967 0.959 1
Ho10 0.344 0.833 0.622 1
Pt9 0.816 0.467 0.459 1
Ho11 0.156 0.333 0.122 1
Ho12 0.002 0.820 0.406 1
Ho13 0.318 0.989 0.250 1
Pt10 0.047 0.887 0.750 1
Ho14 0.498 0.320 0.906 1
Ho15 0.656 0.167 0.122 1
Pt11 0.547 0.613 0.750 1
Ho16 0.182 0.489 0.750 1
Pt12 0.453 0.387 0.250 1
Ho17 0.844 0.667 0.878 1
Ho18 0.156 0.333 0.378 1
Pt13 0.816 0.467 0.041 1
Pt14 0.953 0.113 0.250 1
Pt15 0.184 0.642 0.250 1
Pt16 0.316 0.033 0.459 1
Ho19 0.656 0.167 0.378 1
Ho20 0.344 0.833 0.878 1
```


No. 6
Material: HoPt3
Method: DFT, meta-GGA r2SCAN
State: relaxed

```
data_HoPt3
_cell_length_a 4.084
_cell_length_b 4.084
_cell_length_c 4.084
_cell_angle_alpha 90.00
_cell_angle_beta 90.00
_cell_angle_gamma 90.00
_space_group_name_H-M_alt 'P 1'
>>>

# Assignment
Set down all of the notes earlier on without altering anything, please.

# Completed
No. 1
Material: PrHoZn2
Method: DFT, meta-GGA r2SCAN
State: relaxed

```
data_PrHoZn2
_cell_length_a 5.115
_cell_length_b 5.115
_cell_length_c 5.115
_cell_angle_alpha 60.00
_cell_angle_beta 60.00
_cell_angle_gamma 60.00
_space_group_name_H-M_alt 'P 1'
_space_group_IT_number 1
loop_
_space_group_symop_operation_xyz
'x,y,z'
loop_
_atom_site_label
_atom_site_fract_x
_atom_site_fract_y
_atom_site_fract_z
_atom_site_occupancy
Zn1 0.000 0.000 0.000 1
Ho1 0.250 0.250 0.250 1
Zn2 0.500 0.500 0.500 1
Pr1 0.750 0.750 0.750 1
```


No. 2
Material: HoPt
Method: DFT, meta-GGA r2SCAN
State: relaxed

```
data_HoPt
_cell_length_a 4.498
_cell_length_b 5.508
_cell_length_c 6.955
_cell_angle_alpha 90.00
_cell_angle_beta 90.00
_cell_angle_gamma 90.00
_space_group_name_H-M_alt 'P 1'
_space_group_IT_number 1
loop_
_space_group_symop_operation_xyz
'x,y,z'
loop_
_atom_site_label
_atom_site_fract_x
_atom_site_fract_y
_atom_site_fract_z
_atom_site_occupancy
Ho1 0.750 0.640 0.318 1
Ho2 0.750 0.860 0.818 1
Ho3 0.250 0.140 0.182 1
Ho4 0.250 0.360 0.682 1
Pt1 0.250 0.845 0.543 1
Pt2 0.750 0.155 0.457 1
Pt3 0.250 0.655 0.043 1
Pt4 0.750 0.345 0.957 1
```


No. 3
Material: HoPt2
Method: DFT, meta-GGA r2SCAN
State: relaxed

```
data_HoPt2
_cell_length_a 5.390
_cell_length_b 5.390
_cell_length_c 5.390
_cell_angle_alpha 60.00
_cell_angle_beta 60.00
_cell_angle_gamma 60.00
_space_group_name_H-M_alt 'P 1'
_space_group_IT_number 1
loop_
_space_group_symop_operation_xyz
'x,y,z'
loop_
_atom_site_label
_atom_site_fract_x
_atom_site_fract_y
_atom_site_fract_z
_atom_site_occupancy
Pt1 0.500 0.500 0.000 1
Pt2 0.500 0.000 0.500 1
Ho1 0.875 0.875 0.875 1
Pt3 0.000 0.500 0.500 1
Ho2 0.125 0.125 0.125 1
Pt4 0.500 0.500 0.500 1
```


No. 4
Material: Ho2Pt
Method: DFT, meta-GGA r2SCAN
State: relaxed

```
data_Ho2Pt
_cell_length_a 4.735
_cell_length_b 7.081
_cell_length_c 8.723
_cell_angle_alpha 90.00
_cell_angle_beta 90.00
_cell_angle_gamma 90.00
_space_group_name_H-M_alt 'P 1'
_space_group_IT_number 1
loop_
_space_group_symop_operation_xyz
'x,y,z'
loop_
_atom_site_label
_atom_site_fract_x
_atom_site_fract_y
_atom_site_fract_z
_atom_site_occupancy
Pt1 0.750 0.741 0.908 1
Pt2 0.250 0.259 0.092 1
Pt3 0.250 0.759 0.408 1
Ho1 0.750 0.143 0.919 1
Ho2 0.250 0.491 0.833 1
Ho3 0.250 0.991 0.667 1
Pt4 0.750 0.241 0.592 1
Ho4 0.750 0.643 0.581 1
Ho5 0.750 0.009 0.333 1
Ho6 0.250 0.857 0.081 1
Ho7 0.250 0.357 0.419 1
Ho8 0.750 0.509 0.167 1
```


No. 5
Material: Ho5Pt4
Method: DFT, meta-GGA r2SCAN
State: relaxed

```
data_Ho5Pt4
_cell_length_a 7.449
_cell_length_b 7.531
_cell_length_c 14.431
_cell_angle_alpha 90.00
_cell_angle_beta 90.00
_cell_angle_gamma 90.00
_space_group_name_H-M_alt 'P 1'
_space_group_IT_number 1
loop_
_space_group_symop_operation_xyz
'x,y,z'
loop_
_atom_site_label
_atom_site_fract_x
_atom_site_fract_y
_atom_site_fract_z
_atom_site_occupancy
Ho1 0.998 0.180 0.906 1
Ho2 0.682 0.011 0.750 1
Pt1 0.184 0.533 0.541 1
Pt2 0.316 0.142 0.750 1
Ho3 0.998 0.180 0.594 1
Pt3 0.816 0.358 0.750 1
Pt4 0.684 0.858 0.250 1
Ho4 0.844 0.667 0.622 1
Pt5 0.184 0.533 0.959 1
Ho5 0.502 0.680 0.406 1
Pt6 0.316 0.033 0.041 1
Pt7 0.684 0.967 0.541 1
Ho6 0.502 0.680 0.094 1
Ho7 0.818 0.511 0.250 1
Ho8 0.498 0.320 0.594 1
Ho9 0.002 0.820 0.094 1
Pt8 0.684 0.967 0.959 1
Ho10 0.344 0.833 0.622 1
Pt9 0.816 0.467 0.459 1
Ho11 0.156 0.333 0.122 1
Ho12 0.002 0.820 0.406 1
Ho13 0.318 0.989 0.250 1
Pt10 0.047 0.887 0.750 1
Ho14 0.498 0.320 0.906 1
Ho15 0.656 0.167 0.122 1
Pt11 0.547 0.613 0.750 1
Ho16 0.182 0.489 0.750 1
Pt12 0.453 0.387 0.250 1
Ho17 0.844 0.667 0.878 1
Ho18 0.156 0.333 0.378 1
Pt13 0.816 0.467 0.041 1
Pt14 0.953 0.113 0.250 1
Pt15 0.184 0.642 0.250 1
Pt16 0.316 0.033 0.459 1
Ho19 0.656 0.167 0.378 1
Ho20 0.344 0.833 0.878 1
```


No. 6
Material: HoPt3
Method: DFT, meta-GGA r2SCAN
State: relaxed

```
data_HoPt3
_cell_length_a 4.084
_cell_length_b 4.084
_cell_length_c 4.084
_cell_angle_alpha 90.00
_cell_angle_beta 90.00
_cell_angle_gamma 90.00
_space_group_name_H-M_alt 'P 1'